“Colossians” Bible Book Coloring Page

This free coloring page is based on the Book of Colossians. It’s one part of our series of illustrations for each individual book of the Bible. Click here to download the print friendly PDF version. We’ve also uploaded the image in JPEG format. The illustration captures the theme from Colossians 2:6. So walk in him, rooted and built up in him. We will add a series index one we have several books online. For now you can follow our progress

“Philippians” Bible Book Coloring Page

This free coloring page is based on the Book of Philippians. It’s one part of our series of illustrations for each individual book of the Bible. Click here to download the print friendly PDF version. We’ve also uploaded the image in JPEG format. The illustration captures the theme from Philippians 2:15. Shine … as lights in the world. We will add a series index one we have several books online. For now you can follow our progress on this page. If

Psalm 54 Sunday School Lesson for Kids

This is lesson 21 of 33 in a series of lessons called “Praise God Through the Psalms.”  “Praise God Through the Psalms” – Psalm 54 Lesson focus: Through the book of Psalms and the worship of the people of Israel, we get a glimpse into the character of God and how we should rightly respond to Him in worship. In Psalm 54, the psalmist calls God the upholder of his life. And in so doing, he reminds

Psalm 43 Sunday School Lesson for Kids

This is lesson 20 of 33 in a series of lessons called “Praise God Through the Psalms.”  “Praise God Through the Psalms” – Psalm 43 Lesson focus: Through the book of Psalms and the worship of the people of Israel, we get a glimpse into the character of God and how we should rightly respond to Him in worship. In Psalm 43, the psalmist shows us that God not only saves His people physically, but that He

The Prodigal Son (Luke 15:11-32) Preschool Lesson

Lesson Title:  The Parable of the Prodigal Son for KidsBible Reference: Luke 15:11-32Target Age Group: PreschoolLearning Context: Children’s Church or Sunday SchoolTarget Time Frame: 1 ½ hour Gospel Connection: The story of the Prodigal Son teaches us that God’s ways are clearly not our own.  When the young son returns home begging for a job as a servant we expect the father to be angry with him.  That is human nature and how we would react.  But

Psalm 33 Sunday School Lesson for Kids

This is lesson 19 of 33 in a series of lessons called “Praise God Through the Psalms.”  “Praise God Through the Psalms” – Psalm 33 Lesson focus: Through the book of Psalms and the worship of the people of Israel, we get a glimpse into the character of God and how we should rightly respond to Him in worship. In Psalm 33, the psalmist gives instructions for worship and explains why God deserves all of our worship.

Peter's Vision, Gentiles Receive the Holy Spirit (Acts 10-11) Lesson

Being modern-day Christians, kids today may take for granted how radical it once was for non-Jews to get attention or hear the gospel. But we still at times might consider some things off-limits or “taboo,” or we think some types of people to be better than others. In this story, we see how God transformed Peter’s heart to realize how important it was to share the good news. The fun and special lesson here will remind kids

Psalm 32 Sunday School Lesson for Kids

This is lesson 18 of 33 in a series of lessons called “Praise God Through the Psalms.”  “Praise God Through the Psalms” – Psalm 32 Lesson focus: Through the book of Psalms and the worship of the people of Israel, we get a glimpse into the character of God and how we should rightly respond to Him in worship. In Psalm 32, the psalmist focusses on the need to confess our sin and turn to God in

• Inserted here: molecular data:
┌──
Computed, not measured: a cluster of 5 separate species, C5H19NO5 in total at a distorted geometry, with the ωB97M-V functional and the def2-TZVPD basis.

Summary:
- energy relative to the best compared isomer or geometry (same formula, charge and spin) (eV) = 1.254
- net charge = 0
- lowest unoccupied orbital energy (eV) = 0.52
- E_tot (hartree) = -632.82360
- frontier orbital gap (eV) = 9.64
- multiplicity = 1
- SMILES = CN[C@H](C)CC=O.O.O.O.O

Each line ends with the natural charge from an NBO analysis.
Geometry (Å):
C: -0.491 0.006 -2.892  -0.41
N: -0.179 -0.353 -1.523  -0.64
C: -0.811 -1.531 -0.967  -0.04
C: -2.325 -1.468 -0.849  -0.65
C: -0.106 -1.874 0.362  -0.56
C: -0.753 -1.296 1.585  0.46
O: -0.808 -0.090 1.694  -0.60
H: -0.328 -0.840 -3.569  0.20
H: 0.209 0.769 -3.248  0.21
H: -1.509 0.395 -2.988  0.17
H: -0.258 0.443 -0.901  0.34
H: -0.516 -2.372 -1.601  0.20
H: -2.707 -1.081 0.104  0.21
H: -2.792 -0.796 -1.563  0.22
H: -2.738 -2.482 -0.880  0.22
H: 0.180 -2.903 0.481  0.22
H: 0.893 -1.439 0.427  0.30
H: -1.046 -1.848 2.502  0.13
O: 2.908 -0.656 0.664  -0.97
H: 3.009 -1.062 -0.205  0.47
H: 3.078 0.287 0.469  0.50
O: 1.707 2.773 2.427  -0.99
H: 1.866 1.834 2.535  0.48
H: 0.775 3.039 2.370  0.51
O: 2.121 1.846 -0.193  -0.98
H: 1.282 1.385 -0.265  0.47
H: 2.210 2.372 0.625  0.51
O: -1.008 2.718 1.839  -0.94
H: -0.961 2.037 2.523  0.49
H: -0.901 2.187 1.036  0.48

* * * * *

# 1
This record from OMol25 describes a molecular structure, C48H92BrFIN2O12PS2 in a non-equilibrium geometry. The level of theory is ωB97M-V with the def2-TZVPD basis set.

XYZ file:
```
160
Properties=species:S:1:pos:R:3:forces:R:3
C -3.58269 -2.73095 -4.60752 0.0 0.7 -0.4
C -3.66932 -1.29867 -5.10787 -0.1 -0.6 0.1
O -2.32139 -0.81702 -5.29507 -0.6 0.6 0.2
P -2.01809 0.32123 -6.36303 1.0 -0.2 -0.9
O -1.33900 -0.23971 -7.54099 -0.1 0.0 -0.1
C -0.97368 1.58240 -5.59261 -0.2 -0.2 0.6
C -0.17655 1.17175 -4.32608 0.1 0.0 -0.6
C 0.00897 2.29064 -3.29536 0.5 -0.4 -0.6
N -0.83296 2.45594 -2.05681 0.2 0.2 0.2
C -0.74154 3.92131 -1.56531 0.2 1.1 0.2
C 0.69896 4.40201 -1.54212 0.7 -0.3 0.0
C 1.53864 3.50026 -0.63285 -0.4 0.5 0.2
C 2.97444 3.95233 -0.51647 -0.2 -0.4 -0.4
S 3.99825 3.07927 0.72149 0.3 0.2 0.1
C 2.88788 2.56267 2.02848 0.0 0.1 0.0
S 1.70387 1.48576 1.78579 -0.2 -0.1 0.0
N 3.21823 3.10215 3.29002 0.2 -0.2 0.0
C 3.92074 2.09570 4.11559 -0.2 -0.1 0.2
C 3.03163 1.17845 4.94224 0.4 -0.2 0.3
C 2.08407 3.76464 3.93761 -0.1 0.4 0.0
C 2.47058 4.49114 5.21520 -0.2 0.1 0.2
C -1.73858 4.85291 -2.27223 -0.2 0.3 -0.7
C -1.30122 5.38072 -3.65010 -0.1 -0.2 0.0
C -1.78613 6.75215 -4.09072 0.4 0.2 -0.8
C -1.31563 7.00227 -5.53251 -0.4 -0.6 0.1
I -3.91775 6.97921 -4.08142 -0.1 0.0 0.1
C -1.90272 6.04782 -1.24198 -0.3 -0.4 0.1
O -2.89632 6.01398 -0.54687 -1.1 -0.2 0.6
O -0.95097 6.82334 -1.24444 1.5 1.0 -0.3
O -3.03629 4.26444 -2.41156 0.4 -0.3 0.1
C -3.10902 2.97925 -2.94881 -0.3 -0.2 0.2
C -4.57408 2.58833 -2.91266 0.0 0.4 0.0
C -2.26401 2.08942 -2.02921 -1.0 -0.2 0.5
└──

Jesus is Tempted (Matthew 4:1-11) Sunday School Lesson and Activities

Quantum chemistry results that have nothing to do with the article:
........
Entry 1:
ORCA calculation (ωB97M-V/def2-TZVPD) on a cluster of 2 separate species, C2H9OS in total.

Structure (XYZ):
```
13
Properties=species:S:1:pos:R:3:nbo_charge:R:1
O -2.282 -0.958 0.198 -0.954
H -2.819 -1.125 -0.591 0.486
H -2.952 -0.487 0.720 0.498
H -0.753 -0.360 -0.915 0.218
C 1.075 -1.030 0.367 -0.719
S 0.539 0.048 -0.994 0.620
C 0.831 1.657 -0.252 -0.735
H 2.092 -0.722 0.587 0.255
H 0.399 -0.835 1.182 0.256
H 1.158 -2.055 0.042 0.274
H 1.871 1.891 -0.421 0.273
H 0.655 1.599 0.818 0.255
H 0.186 2.376 -0.739 0.273
```

Summary:
- E_LUMO (eV) = -3.45
- energy (eV) = -15095.2370
- energy above the lowest of the compared OMol25 structures with the same formula, charge and spin (eV) = 0.280
- spin multiplicity = 1
- orbital gap (eV) = 12.599
- net charge = +1

Entry 2:
ORCA calculation (ωB97M-V/def2-TZVPD) on an isolated molecule of C6H9N.

Structure (XYZ):
```
16
Properties=species:S:1:pos:R:3:nbo_charge:R:1
H 2.330 1.690 1.178 0.327
N 1.373 1.571 0.844 -0.642
C 1.232 0.441 0.267 0.306
C 2.344 -0.555 0.079 -0.679
C -0.075 0.244 -0.450 -0.341
C -1.080 1.308 -0.115 -0.147
C -1.493 0.094 0.031 0.056
C -2.604 -0.877 -0.048 -0.650
H 3.303 -0.125 0.388 0.212
H 2.159 -1.454 0.676 0.228
H 2.427 -0.867 -0.969 0.223
H 0.090 -0.117 -1.476 0.175
H -1.077 2.363 0.093 0.248
H -3.547 -0.335 -0.168 0.230
H -2.675 -1.551 0.808 0.230
H -2.443 -1.483 -0.950 0.224
```

Summary:
- E_LUMO (eV) = 0.99
- energy (eV) = -7854.8862
- energy above the lowest of the compared OMol25 structures with the same formula, charge and spin (eV) = 3.273
- structure (SMILES) = [H]/N=C(\C)[C@@H]1C=C1C
- spin multiplicity = 1
- orbital gap (eV) = 9.571

Entry 3:
ORCA calculation (ωB97M-V/def2-TZVPD) on a structure of composition C21H34Cl16FNO5Si2.

Structure (XYZ):
```
80
Properties=species:S:1:pos:R:3:mulliken_charge:R:1
C -0.102 0.587 -5.939 -0.642
C -1.434 1.129 -5.463 -0.142
Si -2.182 0.208 -3.899 0.636
C -3.664 1.287 -3.308 -0.456
C -3.964 1.239 -1.697 -0.266
C -3.229 2.423 -0.824 0.741
C -2.087 1.789 0.194 -0.757
O -2.673 -1.400 -4.520 -0.322
Si -3.083 -2.478 -3.193 0.575
F -4.856 -2.284 -2.930 -0.372
O -2.833 -4.187 -3.518 -0.223
N -1.598 -4.447 -3.980 0.288
O -1.468 -4.150 -5.156 -0.292
O -2.276 -1.866 -1.756 0.009
C -1.567 -2.922 -1.017 0.219
O -2.245 -3.838 -0.318 -0.491
C 0.079 -2.958 -0.992 0.693
C 0.862 -2.856 0.480 -0.675
C 2.527 -2.910 0.610 -0.104
C 3.458 -3.091 -0.743 0.014
C 2.729 -3.169 -2.223 -0.623
C 1.060 -3.088 -2.307 -0.049
H 0.450 1.041 -6.884 0.236
H 0.395 -0.342 -5.398 0.113
H -1.977 2.052 -5.976 0.259
H -1.069 0.123 -2.942 -0.137
H -3.384 2.415 -3.564 0.055
H -4.659 0.987 -3.869 0.356
H -5.136 1.423 -1.572 0.281
H -3.746 0.212 -1.179 0.004
H -4.063 2.903 -0.119 -0.028
H -2.805 3.286 -1.520 -0.440
H -1.741 2.580 1.001 0.046
H -1.179 1.412 -0.445 0.220
H -2.527 0.830 0.750 0.256
H 0.282 -2.723 1.511 0.261
H 3.093 -2.826 1.641 -0.142
H 4.646 -3.167 -0.714 0.518
H 3.355 -3.294 -3.231 0.267
H 0.614 -3.132 -3.391 0.121
C -4.950 5.934 0.709 -0.512
........
So much for the quantum chemistry results:

This Sunday School lesson is based on the Temptation of Jesus in Matthew 4:1-11. You can use these lesson activities with Luke 4:1-11. The lesson plan below includes the complete teacher notes, craft ideas, worksheets, and coloring pages. It’s everything you need to teach kids about the Temptation of Christ. Jesus is Tempted Lesson Plan for Kids Sunday School Lesson on Matthew 4:1-11 Target Age Group: 3rd-5th grade, but could be adapted for other age groups. Compare

Doubting Thomas Sunday School Lesson (John 20:19-31)

Jesus Walks Through the Walls… No Doubt About it! Tell all About it! He’s alive! So now what?? Once the eggs have been found, chocolate consumed, and bonnets put away, it may seem that Easter loses its thrill. But the empty tomb is only the beginning of the story, and there are important lessons to be gained from events immediately after the resurrection as well as further down the road. This lesson focuses on Christ’s appearances after

Psalm 29 Sunday School Lesson for Kids

This is lesson 17 of 33 in a series of lessons called “Praise God Through the Psalms.”  “Praise God Through the Psalms” – Psalm 29 Lesson focus: Through the book of Psalms and the worship of the people of Israel, we get a glimpse into the character of God and how we should rightly respond to Him in worship. In Psalm 29, the psalmist calls us to ascribe glory to the name of the Lord. Through this

Lesson: Strong and Patient (The Book of James – Part 5)

-- Misplaced data records --
/*
# C34H74F12N4O16PS4

A cluster of 9 separate species, C34H74F12N4O16PS4 in total in a non-equilibrium geometry (wB97M-V/def2-TZVPD, OMol25).

Results
Molecular weight in g mol⁻¹: 1182.20
E_tot in eV: -160397.931

The geometry in ORCA input format:
```
! wB97M-V def2-TZVPD RIJCOSX def2/J DEFGRID3
* xyz 1 1
C -8.32963 -8.69780 -3.76059
C -8.33509 -8.30880 -5.20405
O -9.39530 -8.35377 -5.81485
N -6.91551 -8.29703 -5.88431
H -6.28158 -7.65346 -5.43255
H -6.47797 -9.20685 -5.85478
C -6.98995 -8.02739 -7.35211
H -9.19500 -8.24506 -3.27657
H -7.41678 -8.33891 -3.28518
H -8.25846 -9.78534 -3.74362
H -6.00662 -7.68147 -7.67071
H -7.71686 -7.22701 -7.49029
H -7.34764 -8.92931 -7.84879
C -1.10188 0.64981 -7.79069
C -0.67606 1.61383 -6.77895
O 0.45111 1.97863 -6.56115
N -1.73059 2.00288 -5.73294
H -2.27399 2.79986 -6.03233
H -2.44854 1.29674 -5.81046
C -1.07490 2.23709 -4.29692
H -1.63859 1.02466 -8.66220
H -1.63232 -0.20167 -7.36441
H -0.20273 0.17156 -8.17916
H -0.84743 1.21552 -3.99237
H -1.85950 2.80037 -3.79173
H -0.14179 2.80046 -4.30181
C -7.90006 4.14660 -1.42399
C -8.77365 3.17455 -0.79753
O -9.68063 3.57144 -0.05258
N -8.39354 1.67247 -0.86495
H -9.12903 1.00059 -1.03136
H -7.88450 1.70473 -1.73668
C -7.46794 1.18377 0.35092
H -8.16378 5.11902 -1.00814
H -8.03011 4.15863 -2.50614
H -6.88227 3.94819 -1.08802
H -7.70792 0.12182 0.40364
H -7.60495 1.61131 1.34417
H -6.46031 1.25099 -0.05925
C -1.64384 -10.66224 3.74442
N -2.13585 -9.33526 4.25831
C -3.55828 -9.11213 3.76462
C -2.15305 -9.36462 5.76079
C -1.13769 -8.23828 3.68642
C 0.13193 -8.09088 4.51632
O 0.99400 -9.12939 4.09530
H -1.46236 -10.72123 2.67125
H -2.29556 -11.49378 4.01252
H -0.66487 -10.96860 4.11301
H -4.17237 -9.99610 3.93668
H -3.40089 -8.89072 2.70902
H -3.98451 -8.20465 4.19229
H -3.06346 -9.93999 5.92876
H -2.19912 -8.38198 6.23024
H -1.25194 -9.90663 6.04775
H -1.72879 -7.32584 3.76484
H -1.11171 -8.45563 2.61862
H -0.00529 -8.21099 5.59095
H 0.64437 -7.16649 4.24982
H 1.25423 -9.56342 4.91108
C 3.85425 2.91744 1.98464
C 4.98081 3.94058 2.14171
C 4.84830 4.82807 3.38273
C 6.12020 5.64612 3.47032
P 6.05653 7.45599 2.96095
C 4.85703 8.35503 3.91924
C 4.86183 8.14913 5.40532
C 4.04923 9.10021 6.33727
C 4.61370 10.46902 6.63511
C 7.83313 8.13744 3.13713
C 8.88039 7.36766 2.24573
C 10.27999 7.26149 2.82716
C 11.07587 8.57015 2.94604
C 5.41541 7.57257 1.26764
C 6.32001 7.05925 0.07726
C 5.54297 6.62919 -1.15824
C 4.86497 7.91699 -1.85873
H 4.00698 2.11369 2.70488
H 4.01416 2.42565 1.02513
H 2.81823 3.25559 2.00509
H 5.23115 4.52438 1.25592
H 5.86320 3.30472 2.21371
H 4.69118 4.24001 4.28695
H 3.97257 5.46613 3.50144
H 6.91186 5.07380 2.98675
H 6.32817 5.69192 4.53931
H 3.89250 8.03363 3.52619
H 4.95392 9.39825 3.61857
H 5.88168 8.14884 5.79004
H 4.40365 7.17755 5.59022
H 3.84584 8.55175 7.25701
H 3.05975 9.16548 5.88477
H 5.21919 10.95530 5.87025
H 5.23591 10.40114 7.52750
H 3.74493 11.12590 6.67794
H 8.05512 7.99171 4.19429
H 7.68368 9.18394 2.87139
H 8.83407 7.95611 1.32939
*/

Waiting on God’s timing is hard, but a maturing Christian understands that patience is necessary for an increasing growth in the faith. In this fifth and final part of the Book of James series, “Strong and Patient” will outline the reasons and positive results of patience. Also, children will learn that we should be patient with others because God is patient with us! TARGET AGES: 9-12 This lesson is part of our five unit study on the

Lesson: Strong and Humble (The Book of James – Part 4)

Growing humility is a necessary trait of a strong believer in Jesus Christ. This fourth lesson of the Book of James series, “Strong and Humble,” will teach children how to embrace humility and incorporate it in their daily lives. Also, by identifying Jesus Christ as the ultimate example of humility, the children will understand that sacrificial service and humility are results of obeying God. TARGET AGES: 9-12 This lesson is part of our five unit study on

Lesson: Strong and Wise (Book of James – Part 1)

The book of James contains a plethora of information for believers to become mature in their relationships to Christ. This series of five lessons will cover each chapter of James with the goal of outlining how we can become stronger in our faith. In part 1, “Strong and Wise,” there will be an emphasis on trusting God’s plan, persevering through difficulties, and obeying the bible. In addition, several opportunities for the teacher to share how God has

Lesson: Strong and Active Faith (Book of James – Part 2)

Having a strong and mature relationship with Jesus Christ requires deliberate actions that model one’s faith. In this second part of the “Book of James” series, children will explore what James 2 has to say about a Christ-follower’s actions matching the word of God. TARGET AGES: 9-12 This lesson is part of our five unit study on the book of James for Older Elementary children. Use the following links to navigate to the other sections ONE —

Lesson: Strong and Kindly Spoken (The Book of James – Part 3)

A strong believer knows his or her words have the power to draw or push others away from Christ and avidly desires to honor God through their speech. In “Strong and Kindly Spoken (The Book of James – Part 3),” children will learn to stop and think about their words, consider how their speech affects others, and come up with positive substitutions for everyday, sinful responses. In addition, they will learn that humility is required to speak

John the Baptist-Matt 3:1-10 (Sunday School Lesson)

Use this free Sunday School lesson to teach kids about John the Baptist and his role to prepare the people for the coming of Jesus Christ. Scripture: Matt 3:1-10; 14:1-12, Luke 3:1-20 Target Age Group: 3rd-5th grade Main Point: We must prepare our hearts for Jesus Compare our Sunday School Lesson on John the Baptist (Matthew 3:1-12) Another Lesson by Kristen on the Baptist of Jesus (Matthew 3:1-17) Download carton illustrations & coloring page of John the Baptist Lesson Introduction

Sunday School Lesson: The Baptism of Jesus in Matthew 3:13-17

Teach about the Baptism of Jesus with this free Sunday School Lesson. Kids need to learn about Baptism. This lesson is from Matthew 3:13-17 and includes crafts, coloring pages, game ideas, worksheets, object lesson, and full teaching plan. About this Sunday School Lesson Title: Jesus’ Baptism Scripture: Matthew 3:11-17 and John 1:29-34 Sunday School Age Group: 3rd-5th grade Lesson Main Idea: People are baptized to show they are turning away from sin.) Supplies: Bibles, marker board, markers,

The Beatitudes (Luke 6:17-26) Sunday School Lesson

In Luke 6:17-26 Jesus gives us the Beatitudes, teaching us to store up our treasures in Heaven and not on Earth.  Younger children won’t understand all the blesseds and woes but they can understand that Jesus taught us the right way to act and interact with others and to store up our treasures in Heaven.  Through this lesson they will learn that the BEatittudes teach us to BE kind, humble, loving, and gentle. Bible Reference: Luke 6:17-26

Love Your Enemies (Luke 6:27-38) Sunday School Lesson

The Bible teaches us that we are to love everyone, even our enemies.  For young children, and really everyone, the natural response is to respond to anger with anger.  This lesson teaches children that they should do the opposite and love their enemies instead of hate them. Lesson Title:  Love Your Enemies Bible Reference: Luke 6:27-38 Learning Context: Children’s Church or Sunday School Target Time Frame: 1 ½ hour Learning Aim:  Jesus wants us to love your

Daniel Chapter 6 Bible Skits (Part 6 of 6)

This is the 6th part in a 6 part series on the book of Daniel. Chapter 6 covers: Daniel Serves Darius and Daniel in the Lions’ Den. Don’t miss all our lesson and teaching ideas about the Book of Daniel. ————————————————————————————————— Daniel 6 Daniel Serves Darius: Daniel 6:1-15 Characters: King Darius, Commissioner1 & 2, Daniel, Narrator, Satrap 1, Sign Holder Props: Paper Petition, “Sunset Comes” sign ————————————————————————————————— (Enter King Darius) King Darius: It seems good to me

"Ephesians" Bible Book Coloring Page

This free coloring page is based on the Book of Ephesians. It’s one part of our series of illustrations for each individual book of the Bible. Click here to download the print friendly PDF version. We’ve also uploaded the image in JPEG format. The illustration captures the theme from Ephesians 4:4-6. There is one body and spirit… one hope… one Lord, one faith, one baptism. We will add a series index one we have several books online. For now

Daniel Chapter 5 Bible Skits (Part 5 of 6)

This is the 5th part in a 6 part series on the book of Daniel. Chapter 5 covers: Belshazzar’s Feast and Daniel Interprets Handwriting on the Wall. Don’t miss all our lesson and teaching ideas about the Book of Daniel. ————————————————————————————————— Daniel 5 Belshazzar’s Feast: Daniel 5: 1-12 Characters: Narrator, King Belshazzar, Nobles, Group of: Conjurers, the Chaldeans, and the Diviners, Queen Props: Cups of Different Colors, A Picture of a Large Hand Writing ————————————————————————————————— (Enter King

Psalm 28 Sunday School Lesson for Kids

This is lesson 16 of 33 in a series of lessons called “Praise God Through the Psalms.”  Lesson focus: Through the book of Psalms and the worship of the people of Israel, we get a glimpse into the character of God and how we should rightly respond to Him in worship. In Psalm 28, God is seen as the Great Protector who serve as a Rock a Shield and a Shepherd for His people. In each of